Originally published in: The Wall Street Journal
Yesterday the U.S. Supreme Court held 5-4 that a girl who claims she was sexually harassed by a fifth-grade classmate may proceed with her case against her school district, in which she seeks $500,000 in damages.
At issue in the case, Davis v. Monroe County Board of Education, was whether the legal concept of “sexual harassment” – originally developed in the context of an adult workplace – applies to the behavior of children at school, and, if so, whether students may hold their schools financially liable for so-called peer harassment.
### Attached: records of molecules
-- begin --
DFT (ωB97M-V/def2-TZVPD) results for a molecular structure, C2H31O14V.

As for the expectation value of S²: 3.756. The multiplicity is 4. For the highest occupied orbital energy (spin up / spin down), the calculation gives -0.4275 / -0.4471 Ha. Its charge is +1. The value obtained for the HOMO-LUMO gap (spin up / spin down) is 7.9 / 8.4 eV.

The geometry in XYZ format:
```
48
Properties=species:S:1:pos:R:3:forces:R:3:mulliken_spin:R:1
V 3.2986 0.4431 0.3648 -2.16 0.09 -0.27 3.01
C -0.7274 -1.3209 -0.1442 1.67 -0.22 1.63 0.01
C 0.7676 -1.2249 -0.1662 1.25 2.25 0.38 0.02
O 1.2926 0.1081 -0.2192 1.21 0.69 0.86 -0.13
H -1.0774 -0.8529 0.7578 -0.20 0.66 0.26 0.00
H -0.9354 -2.3509 0.0108 -0.75 -1.07 -0.57 0.00
H -1.1504 -0.8369 -0.9672 -0.93 0.42 -1.33 0.00
H 1.2536 -1.6039 -1.0142 -0.01 -1.90 -1.36 -0.02
H 1.2586 -1.5789 0.7108 -0.18 -1.43 0.80 0.02
O 3.3396 -0.7629 2.2028 1.41 -0.43 1.02 0.01
H 2.5586 -1.1459 2.6278 -0.65 0.40 -0.22 0.00
H 4.0726 -0.9919 2.8308 -0.72 0.33 -1.05 0.00
O -1.9104 2.1961 -2.3012 0.07 -0.51 -0.59 0.00
H -2.2514 1.3141 -2.5622 0.14 0.63 0.49 0.00
H -1.1444 2.3181 -2.8802 -0.22 0.05 -0.13 0.00
O 4.5506 -1.0039 -0.7522 -0.62 0.46 -1.38 0.01
H 4.0516 -1.1189 -1.6012 0.19 -0.39 0.95 0.00
H 5.3786 -0.6349 -1.0962 0.25 -0.15 0.35 0.00
O -3.5434 -1.1259 1.1068 0.00 -0.48 1.05 0.00
H -4.2784 -0.7919 1.6728 1.02 -0.44 -0.29 0.00
H -2.7224 -1.2429 1.6568 -1.48 0.09 -0.11 0.00
O 3.4796 1.6031 -1.4772 0.51 0.15 -0.39 0.01
H 3.0106 2.3291 -1.9042 -0.58 0.47 0.72 0.00
H 3.6636 1.1071 -2.2792 0.07 -0.60 -0.11 0.00
O -2.6594 1.3771 1.1098 -0.80 -0.18 0.74 0.00
H -1.7884 1.4961 0.7418 0.67 0.20 -0.54 0.00
H -2.9884 0.4821 0.9098 0.49 0.91 -0.08 0.00
O -4.0014 -0.2519 -1.3922 1.45 -0.12 0.11 0.00
H -3.6394 -0.5799 -0.5402 -0.16 0.19 -0.66 0.00
H -4.9164 -0.4389 -1.2822 -1.30 -0.11 -0.19 0.00
O 1.0666 0.4651 -2.7772 0.55 0.43 -1.77 0.00
H 0.9856 0.3301 -1.8432 0.15 -0.02 1.67 0.02
H 0.1976 0.3011 -3.1422 -0.37 -0.21 -0.43 0.00
O 2.5086 2.0101 1.7048 0.97 -0.30 1.24 0.00
H 2.8896 1.8851 2.6048 -0.12 0.19 -0.83 0.00
H 1.5896 2.1911 1.9158 -0.61 0.20 -0.74 0.01
O -0.2574 2.2651 -0.1522 -1.05 1.38 -0.01 0.00
H -0.8324 2.3561 -0.9572 0.26 -0.15 0.84 0.00
H 0.3666 1.5791 -0.3402 0.70 -1.18 -0.18 0.02
O -1.5924 -0.5209 -3.6722 2.11 0.71 -0.33 0.00
H -2.4474 -0.3069 -3.9422 -2.29 1.02 -1.31 0.00
H -1.8164 -1.1889 -3.0692 0.00 -1.80 1.63 0.00
O 0.5706 -0.4499 2.8748 1.63 -0.29 1.27 0.00
H -0.0224 -1.0119 2.4128 -1.01 -0.52 -0.75 0.00
H 0.3276 0.4461 2.6918 -0.57 0.63 -0.36 0.00
O -1.9644 -1.6249 3.4648 0.99 0.40 -0.43 0.00
H -1.2384 -1.5679 4.0868 0.70 0.49 -0.09 0.00
H -2.5714 -2.0739 4.0148 -1.70 -0.93 0.54 0.00
```
Forces are in eV/Å.

* * * * *

127
Properties=species:S:1:pos:R:3 method="wB97M-V/def2-TZVPD" orbital_gap_ev=9.131 spin_multiplicity=1 mol_weight_da=828.01
C -1.793 -1.035 -4.074
H -1.703 -0.027 -3.673
O -2.192 -1.971 -3.084
C -1.596 -1.913 -1.816
H -1.961 -2.829 -1.338
C -0.046 -1.989 -1.840
C 0.535 -2.671 -0.594
-- stop --
The case was brought under Title IX of the Education Amendments of 1972, which prohibits schools from discriminating on the basis of sex.
Although Title IX makes no mention of sexual harassment or liability for the actions of students or other third parties, the Supreme Court, in an opinion written by Justice Sandra Day O’Connor, held that a teacher’s failure to prevent unwelcome sexual conduct by a student can constitute discrimination by the school.
Last year, in a case called Gebser v. Lago Vista Independent School District, the Court held that school districts can be held liable when school administrators fail to take action after being notified that a teacher has sexually harassed a student.
But this case was different.
As the four dissenters, led by Justice Anthony Kennedy, pointed out, teachers (unlike students) are agents of the school district who can be fired for misconduct.
== Someone pasted quantum chemistry results at this point ==
No. 1
One molecule with the formula C16H18N2O7S. Source: the OMol25 dataset; level of theory: wB97M-V/def2-TZVPD.

Element x y z (Å)
C  0.49041  -2.40844  -2.10909
O  0.49151  -2.70556  -0.72834
C  1.02686  -1.79704  0.14147
C  1.83756  -0.74427  -0.26517
C  2.33909  0.17038  0.64511
C  2.03429  0.04715  1.98716
C  1.24206  -1.00440  2.41001
C  0.73577  -1.94107  1.51302
O  -0.00104  -2.93665  2.08887
C  -0.77382  -3.81419  1.30879
C  -1.74591  -3.11907  0.36203
O  -2.31544  -3.65895  -0.54513
O  -1.90489  -1.83860  0.70730
C  -2.77476  -1.04766  -0.09211
C  -2.61903  0.42606  0.26590
O  -3.49868  1.23194  0.05402
N  -1.43178  0.74127  0.81679
C  -1.11008  2.10640  1.15753
C  -1.00961  3.00526  -0.08065
N  0.20879  2.79971  -0.84765
C  1.25656  3.68083  -0.71757
O  1.27075  4.60173  0.05389
C  2.37189  3.35033  -1.68150
S  1.87106  1.87699  -2.59861
C  0.31967  1.76458  -1.74444
O  -0.49034  0.90569  -1.94121
H  1.48965  -2.52055  -2.54024
H  0.11360  -1.40017  -2.30123
H  -0.18125  -3.14089  -2.55475
H  2.09360  -0.64909  -1.30767
H  2.97946  0.96821  0.30072
H  2.41625  0.75622  2.70511
H  0.99638  -1.13301  3.45184
H  -1.35766  -4.39450  2.03153
H  -0.15611  -4.50432  0.72326
H  -3.81507  -1.35225  0.06004
H  -2.53439  -1.18092  -1.15408
H  -0.73556  0.02192  0.93659
H  -1.91672  2.51001  1.77787
H  -0.17615  2.11837  1.72033
H  -1.00173  4.05207  0.23027
H  -1.86930  2.80872  -0.72445
H  2.53025  4.18260  -2.36880
H  3.30385  3.16521  -1.14677

Forces on atoms 1 to 6 (eV/Å):
C -0.05 0.04 -0.34
O 0.26 0.09 0.53
C 0.01 -0.06 0.08
C -0.06 -0.22 -0.03
C 0.02 0.06 0.01
C 0.03 0.03 -0.01

Output
SMILES   COc1ccccc1OCC(=O)OCC(=O)NCCN1C(=O)CSC1=O
HOMO level   -8.63 eV
Total energy   -45033.2498 eV
LUMO   0.013 hartree

natural (NBO) population analysis, charges in e, atoms 1 to 2: C -0.27; O -0.52


No. 2
One molecule with the formula C16H18N2OS2. Source: the OMol25 dataset; level of theory: wB97M-V/def2-TZVPD.

Element x y z (Å)
C  -2.34365  -0.63471  1.15064
O  -1.37510  0.31588  0.77671
C  -0.11409  0.16031  1.28045
C  0.31000  -0.94645  2.00317
C  1.57939  -0.99572  2.55286
C  2.46136  0.06445  2.41374
C  3.83226  0.02716  3.01627
C  2.04966  1.15907  1.66809
C  0.79401  1.21297  1.07601
N  0.47349  2.35861  0.33418
C  -0.26783  2.56206  -0.78080
S  -0.76152  4.11291  -1.11013
N  -0.61175  1.59573  -1.66359
C  -0.24475  0.27473  -1.85199
C  0.96811  -0.26499  -1.43080
C  1.25382  -1.60121  -1.64256
C  0.35693  -2.41762  -2.30944
C  -0.81543  -1.87507  -2.80780
C  -1.11774  -0.54448  -2.58586
S  -2.56357  0.15464  -3.37196
C  -3.66011  0.43395  -1.94200
H  -2.16844  -1.59568  0.65532
H  -3.30229  -0.23091  0.83069
H  -2.36397  -0.77799  2.23494
H  -0.35080  -1.78496  2.15086
H  1.87544  -1.87177  3.11003
H  4.56946  -0.22982  2.25520
H  3.88726  -0.71629  3.80706
H  4.10002  0.99875  3.42555
H  2.72075  1.99464  1.52709
H  0.77574  3.23329  0.74603
H  -1.28299  1.92540  -2.35647
H  1.70420  0.36893  -0.96630
H  2.19453  -1.99938  -1.29344
== The quantum chemistry results stop here ==
By contrast, students in every state enjoy the legal right to a free public education. Schools have an obligation to educate all students, and students inherently are more difficult to control than adult employees. It, therefore, strains logic to suggest that the failure of a school district to respond to a particular charge of student misconduct can constitute an act of intentional sex discrimination by the school.
Moreover, common sense suggests that sexual harassment of a student by a teacher differs dramatically from garden variety adolescent or preadolescent sexual behavior and, accordingly, warrants different treatment under the law.
A kiss on the cheek, a sexually suggestive remark, the persistent pursuit of a romantic relationship with someone who is not interested, even unwanted sexual touching all may be normal parts of growing up when the individuals involved are peers. The same actions take on a decidedly different meaning when the perpetrator is a teacher and the target is a student.
This distinction was apparently lost on the Court.
Remarkably, yesterday’s ruling placed public educational institutions at greater risk than private corporations for sexual harassment liability – a result Congress clearly did not intend.
Unlike Title VII, which prohibits sex discrimination in employment, Title IX does not provide for agency investigation and conciliation of complaints prior to the filing of a case in federal court, steps that allow cases to be resolved quickly and at low cost.
And unlike Title VII, Title IX provides no statutory cap on damages. That means one large jury verdict could bankrupt a small school district.
In the wake of lower-court rulings finding school districts liable for peer harassment, many primary and secondary schools responded with draconian policies prohibiting hand-holding, the passing of romantic notes, or chasing members of the opposite sex at recess.
At least one teachers’ manual on sexual harassment, pointed out by the dissenters in Davis, suggests telling a classmate that “you look nice” may constitute punishable sexual harassment depending on the tone of voice and facial expression of the student perpetrating the compliment and on who else is around. Such extreme policies will no doubt become more common as schools seek to avoid liability under Davis.
Do we really need to make the proverbial federal case out of a teacher’s failure to prevent students from making sexual comments about their peers?
On what basis should we treat inappropriate sexual behavior as more serious than other forms of student misconduct?
Surely students who bring weapons to school pose a far greater threat to our nation’s-students than preteens who tell dirty jokes. Yet yesterday’s ruling will cause schools to spend scarce resources conducting “sexual harassment workshops” and disciplining students for hand-holding, rather than on implementing measures to keep guns out of the schools.
Even prior to the Court’s decision in Davis, victims of peer harassment – sexual or not -had at their disposal an array of state administrative, civil, and criminal remedies that fall far short of instituting a federal action for sex discrimination.
By allowing the Davis case to go forward, the Supreme Court has elevated inappropriate sexual behavior above all other types of student misconduct and opened the gates to a flood of federal litigation against American schools that Congress clearly did not contemplate.
Congress should amend the statute to overturn this bit of judge-written law.